Aggregate production functions and growth economics
Temple, Jonathan R. W. (2006). Aggregate production functions and growth economics. International Review of Applied Economics, 20(3), July, 301-317.
Rigorous approaches to aggregation indicate that aggregate production functions do not exist except in unlikely special cases. This paper considers the awkward implications for growth economics. It provides a conventional defence of growth theory in terms of “parables” and then considers how empirical growth research might avoid the need for aggregate production functions.
[See also the paper immediately below]
Aggregate production functions, growth economics, and the part-time tyranny of the identity: a reply to Felipe and McCombie
Temple, Jonathan (2010). Aggregate production functions, growth economics, and the part-time tyranny of the identity: a reply to Felipe and McCombie.
International Review of Applied Economics, 24(6), November, 685-692.
A recent paper by Jesus Felipe and John McCombie argues that I have understated the importance of the value added identity for conventional estimates of production relationships. This reply seeks to clarify the areas of agreement and disagreement. It suggests that the problems raised by the accounting identity are genuine and deserve to be more widely known, but Felipe and McCombie have sometimes exaggerated the scope of the argument.
A positive effect of human capital on growth
Temple, Jonathan (1999). Economics Letters, October, 65(1), 131-134.
Recent studies have found that economic growth appears to be unrelated to increases in educational attainment. In this note I show that there is a correlation in one data set, but it is typically hidden by unrepresentative observations.
You can download the main data set by clicking on benspieg.xls. This should allow all the results in the paper to be replicated. The data set is that created by Benhabib and Spiegel for their 1994 JME article; see their article for details of the sources and data construction.
Some additional data benspieg2.xls may also be useful for those examining the results of Benhabib and Spiegel. In particular this data set also includes population figures.
Convergence behaviour in exogenous growth models
with Jochonia Mathunjwa
This paper analyzes several aspects of convergence behaviour in the Solow
growth model. In empirical work, a popular approach is to log-linearize around
the steady-state. We investigate the conditions under which this approximation
performs well, and discuss convergence behaviour when an economy is some distance
from the steady-state. A formal analysis shows that convergence speeds will
be heterogeneous across countries and over time. In particular, the Solow model
implies that convergence to a growth path from above is slower than convergence
from below. We find some support for this prediction in the data.
Download the new version (April 2007) jsm_jt10april2007.pdf. This is a revised version of Mathunjwa, Jochonia S. and Temple, Jonathan R. W. (2006). Convergence behaviour in exogenous growth models. University of Bristol discussion paper 06/590.
Education and economic growth
- - -
First-principles (GGA-PBE) data for crystalline TbPmPrAg at its relaxed geometry, as listed in Alexandria.

ΔH_f (0 K), eV/atom: 0.100
N(E_F), states/eV/f.u.: 7.05
Total magnetization, μB per formula unit: 0.00
Space-group type: F-43m, No. 216

The structure in POSCAR format:
```
TbPmPrAg
1.0
0.0000 3.8881 3.8881
3.8881 0.0000 3.8881
3.8881 3.8881 0.0000
Tb Pm Pr Ag
1 1 1 1
direct
0.0000 0.0000 0.0000
0.7500 0.7500 0.7500
0.5000 0.5000 0.5000
0.2500 0.2500 0.2500
```

~~~~~

Computed, not measured: a relaxed Ba2ZnCoO4 crystal at the PBE with a Hubbard U level of DFT.

a = 5.587 Å, b = 5.587 Å, c = 5.587 Å
α = 99.06°, β = 114.92°, γ = 114.92°
Fractional positions:
O: 0.917 0.534 0.121
O: 0.413 0.879 0.795
O: 0.083 0.205 0.617
O: 0.587 0.383 0.466
Zn: 0.000 0.500 0.500
Co: 0.500 0.250 0.750
Ba: 0.500 0.750 0.250
Ba: 0.000 0.000 0.000

Properties
E, eV/atom: -5.57
Total magnetic moment, μB per formula unit: 3.01
SG: No. 82
Calculated density, Mg/m³: 5.9
Crystal system: tetragonal
Fermi-level density of states, states/eV/f.u.: 0.00
- - -
Economic Growth and Government Policy, HM Treasury, April 2001.
This note provides a brief overview of the effects of education on productivity, drawing on both theoretical work and empirical evidence. The main focus is on the available evidence, and in particular what it tells us about the private and social returns to
education. The focus on these returns is motivated by an observation central to economics, namely that it is where private and social returns diverge that there may be a case for using government taxes and subsidies, or other policy instruments, to realign incentives.
Equipment investment and the Solow model
Temple, Jonathan (1998). Equipment investment and the Solow model. Oxford Economic Papers, January, 50(1), 39-62.
This paper investigates the correlation between equipment investment and economic growth, and its compatibility with the Solow growth model. The paper improves on previous work by starting from an explicit theoretical model, taking a rigorous approach to outliers, using instrumental variables, and taking unobserved heterogeneity into account. Rates of return to investment, and their precision, are estimated. The main finding is that the implied returns to equipment investment are very high in developing countries.
JEL classification: O11, O16, O57
To download the data set and documentation, hold down the left shift key and click on the link, or alternatively press the right mouse button and choose ‘save link as’.
equipsol.txt | Documentation |
equipsol.csv | Data set for Tables 1-4 |
Generalizations that aren’t? Evidence on education and growth
Temple, Jonathan R. W. (2001). Generalizations that aren’t? Evidence on education and growth. European Economic Review, May, 45(4-6), 905-918. Reprinted in Belfield, C. (ed.) Modern classics in the economics of education, Edward Elgar, 2006.
Several papers have suggested that the relationship between changes in average schooling and growth is weak in the cross-country data. This might call into question the relevance of micro estimates of returns to schooling, at least for developing countries. This paper examines the reliability of some of the aggregate evidence, and presents an alternative framework for analysing these questions.
GMM estimation of empirical growth models
with Stephen Bond and Anke Hoeffler
Bond, S., Hoeffler, A. and Temple, J. (2001). GMM estimation of empirical growth models. CEPR discussion paper no. 3048.
This paper highlights a problem in using the first-differenced GMM panel data estimator to estimate cross-country growth regressions. When the time series are persistent, the first-differenced GMM estimator can be poorly behaved, since lagged levels of the series provide only weak instruments for subsequent first-differences. Revisiting the work of Caselli, Esquivel and Lefort (1996), we show that this problem may be serious in practice. We suggest using a more efficient GMM estimator that exploits stationarity restrictions, and this approach is shown to give more reasonable results than first-differenced GMM in our estimation of an empirical growth model.
Download the paper: bht10.pdf
Growing into trouble: Indonesia after 1966
Temple, Jonathan (2003). Growing into trouble: Indonesia after 1966. In Dani Rodrik (ed.) In search of prosperity: analytic narratives on economic growth. Princeton University Press, Princeton, 2003.
This paper analyzes the remarkable growth experience of Indonesia since 1966. Over a thirty year period, GDP per capita rose more than fourfold, despite unfavourable initial conditions, some weak institutions, and flawed microeconomic policies. The paper attributes this strong performance to a mutually reinforcing combination of political stability and competent macroeconomic policy, and some important instances of good fortune. It explores the origins of good policy and analyzes three of the main external shocks. The paper also argues that rapid growth interacted with weak institutions in a way that contributed to the severity of the crisis of 1997-98.
Download the final (August 2001) version of the paper: indodp4.pdf
Growth effects of education and social capital in the OECD countries
Temple, J. R. W. (2001). Growth effects of education and social capital in the OECD countries. OECD Economic Studies, No. 33, 2001/2, 57-101.
This paper surveys the empirical literature on the growth effects of education and social capital. The main focus is on the cross-country evidence for the OECD, but the paper also briefly reviews evidence from labour economics, to clarify where empirical work on education using macro data may be relatively useful. It is argued that on balance, the recent cross-country evidence points to productivity benefits of education that are at least as large as those identified by labour economists. The paper also discusses the implications of this finding. Finally, the paper reviews the emerging literature on the benefits of social capital. Since this literature is still in its early days, policy conclusions are accordingly harder to find.
A French translation is available, in Revue economique de l’OCDE, 33, under the title Effets de l’education et du capital humain sur la croissance dans les pays de l’OCDE. A much earlier version of the paper appears in Helliwell, John F. (ed.) The contribution of human and social capital to sustained economic growth and well-being. OECD and HRDC, Canada, 2001.
Initial conditions, social capital, and growth in Africa
Temple, Jonathan (1998). Initial conditions, social capital, and growth in Africa. Journal of African Economies, October, 7(3), 309-347.
Observable variables capturing initial conditions can account for well over half the variation in developing country growth rates. This paper investigates their role in explaining Africa’s recent economic history. Should the origins of slow growth be traced to Africa’s social arrangements, high inequality, and ethnic diversity? Based on cross-country empirical work, this paper argues that the best answers are yes, no, and maybe.
The long-run implications of growth theories
Temple, Jonathan (2003). The long-run implications of growth theories. Journal of Economic Surveys, July, 17(3), 497-510.
This paper draws attention to some possible misunderstandings concerning the place of long-run outcomes in growth theory. It argues that the traditional emphasis on these outcomes is often misguided. As a result of this emphasis, too much attention is paid to the role of knife-edge assumptions, and researchers may be led to interpretations of the evidence, or models of the growth process, that are not wholly sensible.
Robustness tests of the augmented Solow model
Temple, Jonathan R. W. (1998). Robustness tests of the augmented Solow model. Journal of Applied Econometrics, July-August, 13(4), 361-375.
This paper demonstrates some techniques for testing the robustness of cross-section and panel data regressions, and applies them to the influential augmented Solow growth model. The paper focuses on robust estimation and analysis of sensitivity to measurement error. In particular, it is shown that estimated technology parameters and convergence rates are highly sensitive to measurement error.
The data set and computer software are available from the JAE’s data archive
Social capability and economic growth
Temple, Jonathan R. W. and Johnson, Paul A. (1998). Social capability and economic growth. Quarterly Journal of Economics, August, 113(3), 965-990.
The conventional wisdom is that post-war economic growth has been unpredictable. In the 1960s, few observers accurately forecast which countries would grow quickly. In this paper, we show that indices of social development constructed in the early 1960s have considerable predictive power. These results indicate the importance of “social capability” for economic growth. We emphasise that social arrangements matter for reasons beyond those discussed in recent work on trust and social capital. However, we are also able to show that one of the indices may be a useful proxy for social capital in developing countries.
To download the Adelman-Morris index and documentation, hold down the left shift key and click on the link, or alternatively press the right mouse button and choose ‘save link as’.
socdev.csv | Data set |
socdev.txt | Documentation for the data set (text) |
St. Adam and the Dragons: Neo-classical economics and the East Asian Miracle
Temple, Jonathan (1997). St. Adam and the Dragons: Neo-classical economics and the East Asian Miracle. Oxford Development Studies, October 1997, 25(3), 279-300.
This paper addresses recent explanations for the East Asian miracle. The argument that growth is entirely due to the accumulation of inputs is assessed and found wanting. There is still a place for the view that attributes success to activist policy. This is especially so, since the other explanations of East Asian success are rarely wholly convincing. The paper demonstrates that popular cross-country models of growth usually fail to explain the East Asian experience, but presents evidence supporting emphasis on favourable initial conditions, including early specialization in manufacturing.